Artificial intelligence, once confined to sci-fi movies and graphic novels, is becoming more and more integral to our daily lives. From the rise of home voice assistants to life-altering decisions in employment and criminal justice, AI is shaping our world in profound ways. Yet, as this transformation accelerates a critical challenge is emerging: the pervasive bias embedded in its algorithms. While many of the AI tools that we use in our daily lives seem rather innocuous, the biases hidden in their algorithms pose serious threats that can perpetuate and amplify inequalities.

(These data records were left in the article by mistake)
- - -
1.
Hg2Pb7Au2 after structural relaxation. Source: Alexandria via LeMat-Bulk, functional PBE.

Output
DFT formation energy (eV per atom): 0.0371
Total energy (eV for the cell shown): -65.4

a = 9.0297 Å, b = 10.7294 Å, c = 6.9570 Å
α = 90.00°, β = 90.00°, γ = 90.00°
Closest atoms and distances in Å follow each position.
Space group Cmmm (No. 65)
Unique sites:
Hg1 0.1649 0.0000 0.0000  1 Hg 2.98, 4 Pb 3.24
Pb1 0.0000 0.0000 0.5000  2 Au 2.98
Pb2 0.0000 0.5000 0.2436  2 Au 2.97
Pb3 0.2500 0.2500 0.2366  2 Au 2.92, 2 Hg 3.24
Au1 0.0000 0.2781 0.5000  7 Pb 2.92-2.98


2.
Hg12Pb16Au after structural relaxation. Source: Alexandria via LeMat-Bulk, functional PBE.

Output
DFT formation energy (eV per atom): 0.0366
Total energy (eV for the cell shown): -130.3

a = 11.8211 Å, b = 16.2859 Å, c = 10.4198 Å
α = 90.00°, β = 124.55°, γ = 90.00°
Closest atoms and distances in Å follow each position.
Space group Cm (No. 8)
Unique sites:
Hg1 0.0000 0.0000 0.0000  3 Hg 3.07-3.13, 5 Pb 3.34-3.37
Hg2 0.0532 0.3169 0.3512  3 Hg 3.07-3.24, 4 Pb 3.21-3.42
Hg3 0.0979 0.0957 0.8185  3 Hg 3.06-3.13, 1 Au 3.08, 4 Pb 3.24-3.40
Hg4 0.1400 0.4056 0.1491  3 Hg 3.07-3.17, 5 Pb 3.22-3.40
Hg5 0.1584 0.0000 0.3566  1 Au 2.99, 3 Hg 3.07-3.27, 2 Pb 3.20
Hg6 0.3664 0.1923 0.9737  3 Hg 3.06-3.24, 3 Pb 3.21-3.30
Hg7 0.4561 0.0926 0.5304  3 Hg 3.02-3.27, 3 Pb 3.27-3.38
Pb1 0.0620 0.2914 0.8421  5 Hg 3.24-3.44, 6 Pb 3.50-3.61
Pb2 0.1690 0.5000 0.8783  5 Hg 3.36-3.40, 7 Pb 3.41-3.57
Pb3 0.2087 0.1748 0.1836  6 Hg 3.38-3.60, 4 Pb 3.44-3.50
Pb4 0.2129 0.1594 0.5643  3 Hg 3.20-3.27, 1 Au 3.32, 4 Pb 3.39-3.54
Pb5 0.2431 0.5000 0.4826  1 Au 3.05, 2 Hg 3.33
Pb6 0.2961 0.3540 0.7490  5 Hg 3.30-3.51, 6 Pb 3.43-3.63
Pb7 0.3560 0.0000 0.8227  1 Au 3.38, 6 Hg 3.40-3.50, 4 Pb 3.41-3.50
Pb8 0.3710 0.0000 0.1677  4 Pb 3.49-3.71, 11 Hg 3.54-3.71
Pb9 0.3912 0.3191 0.4778  1 Au 3.23, 3 Hg 3.27-3.42, 5 Pb 3.39-3.61
Pb10 0.4110 0.3584 0.1630  5 Hg 3.21-3.37, 3 Pb 3.44-3.56
Au1 0.0206 0.0000 0.5247  3 Hg 2.99-3.08, 5 Pb 3.05-3.32


3.
Hg2PbAu9 after structural relaxation. Source: Alexandria via LeMat-Bulk, functional PBE.

Output
DFT formation energy (eV per atom): 0.0257
Total energy (eV for the cell shown): -100.5

a = 5.6563 Å, b = 5.6563 Å, c = 27.6069 Å
α = 90.00°, β = 90.00°, γ = 120.00°
Closest atoms and distances in Å follow each position.
Space group R-3m (No. 166, hexagonal axes)
Unique sites:
Hg1 0.0000 0.0000 0.1347  9 Au 3.14-3.38
Pb1 0.0000 0.0000 0.0000  6 Au 3.27
Au1 0.0000 0.0000 0.3332  6 Au 2.85-2.88
Au2 0.0000 0.0000 0.5000  6 Au 2.79
Au3 0.0043 0.5022 0.9145  7 Au 2.79-2.88


4.
Hg2Pb3Au3 after structural relaxation. Source: Alexandria via LeMat-Bulk, functional PBE.

Output
DFT formation energy (eV per atom): -0.0194
Total energy (eV for the cell shown): -86.9

a = 3.8994 Å, b = 13.8025 Å, c = 14.9965 Å
α = 90.00°, β = 90.00°, γ = 90.00°
Closest atoms and distances in Å follow each position.
Space group Cmcm (No. 63)
Unique sites:
Hg1 0.0000 0.2414 0.0806  4 Au 2.84-3.00, 2 Hg 3.11
- - -

When the initial versions of AI voice assistants rose in popularity, many pointed out that these virtual assistants overwhelmingly featured default female-sounding voices. The common critique was that most of the tasks carried out by Siri, Alexa and Cortana — like writing a shopping list or setting appointment reminders — are often regarded as duties of a domestic assistant. Critics argued that associating female voices with subservient roles will inadvertently reinforce outdated gender norms and perpetuate harmful stereotypes. 

**Unrelated to this article: crystal structures**
~~~
8
Lattice="7.5510 0.0000 0.0000 0.0000 3.5645 0.0000 -1.2307 0.0000 4.7413" Properties=species:S:1:pos:R:3 comment="NiAsC2 PBE-GGA relaxed" delta_e_f_mev_per_atom=759 relative_energy_mev_per_atom=284 total_energy_ha_per_atom=-0.237 dos_at_fermi_per_ev_cell=2.6 pbc="T T T"
Ni 0.0000 0.0000 0.0000
Ni 3.7755 1.7823 0.0000
As 1.4697 1.7823 0.3311
As 5.2452 0.0000 0.3311
C 2.8826 1.7823 1.6923
C 2.6703 1.7823 2.9484
C 6.6581 0.0000 1.6923
C 6.4458 0.0000 2.9484

4
Lattice="2.5516 0.0000 0.0000 0.2191 3.5216 0.0000 1.1186 1.2972 4.9629" Properties=species:S:1:pos:R:3 comment="NiAsC2 PBE-GGA relaxed" delta_e_f_mev_per_atom=523 relative_energy_mev_per_atom=48 total_energy_ha_per_atom=-0.246 dos_at_fermi_per_ev_cell=1.1 pbc="T T T"
Ni 0.0000 0.0000 0.0000
As 1.2411 2.9701 3.3699
C 1.2529 2.1543 1.4696
C 2.5337 1.6587 1.0387

8
Lattice="9.6257 0.0000 0.0000 0.0000 2.9750 0.0000 -1.2297 0.0000 4.1528" Properties=species:S:1:pos:R:3 comment="NiAsC2 PBE-GGA relaxed" delta_e_f_mev_per_atom=858 relative_energy_mev_per_atom=383 total_energy_ha_per_atom=-0.234 dos_at_fermi_per_ev_cell=2.3 pbc="T T T"
Ni 0.0000 0.0000 0.0000
Ni 4.8128 1.4875 0.0000
As 1.9970 0.0000 1.3853
As 6.8098 1.4875 1.3853
C 3.5935 0.0000 0.3092
C 2.7705 0.0000 3.1674
C 8.4063 1.4875 0.3092
C 7.5833 1.4875 3.1674

4
Lattice="3.7219 0.0000 0.0000 -0.7895 3.9742 0.0000 -0.1314 -1.8060 3.9038" Properties=species:S:1:pos:R:3 comment="NiAsC2 PBE-GGA relaxed" delta_e_f_mev_per_atom=831 relative_energy_mev_per_atom=357 total_energy_ha_per_atom=-0.235 dos_at_fermi_per_ev_cell=1.5 pbc="T T T"
Ni 0.0000 0.0000 0.0000
As 0.0610 2.0527 1.2652
C 1.1512 3.2483 0.1602
C 1.1099 2.0164 2.8764

5
Lattice="3.8130 0.0000 0.0000 0.0000 3.8130 0.0000 0.0000 0.0000 3.8130" Properties=species:S:1:pos:R:3 comment="NiAsC3 PBE-GGA relaxed" delta_e_f_mev_per_atom=2385 relative_energy_mev_per_atom=0 total_energy_ha_per_atom=-0.192 dos_at_fermi_per_ev_cell=3.0 pbc="T T T"
Ni 0.0000 0.0000 0.0000
As 1.9065 1.9065 1.9065
C 0.0000 0.0000 1.9065
C 0.0000 1.9065 0.0000
C 1.9065 0.0000 0.0000

4
Lattice="2.9284 0.0000 0.0000 0.4597 3.2594 0.0000 0.1427 1.4595 5.5045" Properties=species:S:1:pos:R:3 comment="NiAsPC PBE-GGA relaxed" delta_e_f_mev_per_atom=411 relative_energy_mev_per_atom=183 total_energy_ha_per_atom=-0.215 dos_at_fermi_per_ev_cell=1.8 pbc="T T T"
Ni 0.0000 0.0000 0.0000
As 1.5070 1.4005 1.4204
P 1.8290 3.0882 3.2941
C 3.2920 3.1109 4.2847

~~~~~

The following is a PBE calculation of La2Tb3Sm6 after structural relaxation, from Alexandria.

Output
Space group: C2/m (12)
DFT formation energy: 1.88 eV/f.u.

a b c (Å): 6.2138 6.2209 11.9387
angles (deg): 84.93 79.81 60.04
Element x y z (fractional)
La 0.1671 0.6658 0.5000
La 0.8329 0.3342 0.5000
Tb 0.0000 0.0000 0.0000
Tb 0.3349 0.3302 0.0000
Tb 0.6651 0.6698 0.0000
Sm 0.4153 0.6669 0.7543
Sm 0.7490 0.0000 0.7543
Sm 0.0822 0.3331 0.7543
Sm 0.2510 0.0000 0.2457
Sm 0.5847 0.3331 0.2457
Sm 0.9178 0.6669 0.2457
~~~

Issues of bias and discrimination in AI systems have also been observed in other contexts, with serious implications. In 2020, a decision by the UK to use an algorithm to predict A-level grades led to students from disadvantaged backgrounds being disproportionately downgraded, while those from private schools and affluent areas were favored. The issue caused a nationwide backlash, leading the UK government to abandon the algorithm. 

Perhaps most alarmingly, inaccuracies in AI-driven predictive policing systems can lead to wrongful arrests, detentions, and even violence. A tool deployed in a United States suburb showed a clear bias against black neighborhoods, leading to over-policing and increased tensions between law enforcement and communities. Similar issues have been reported with facial recognition technologies in China and South Africa, where darker-skinned individuals were more likely to be misidentified or mischaracterized. Such incidents not only threaten the justice system’s integrity but also perpetuate systemic racism. 

These examples underscore a crucial point: AI systems are only as unbiased as the data and people that create them. While fingers are often pointed at the skewed datasets used to train these systems, the root of the problem is often the lack of diverse AI developers who can recognize and mitigate the built-in bias in the data, model or system. 

The tech industry remains male-dominated, with women representing only 22% of AI professionals globally. Geographic disparity is also an issue, with the majority of AI research and development concentrated in a handful of countries, primarily in North America, Europe, and parts of Asia. This homogeneity in the AI workforce often leads to intelligent machine systems that are blind to the experiences and perspectives of the underrepresented, mostly from the Global South.

To nurture a diverse pool of AI developers, strengthening AI literacy for everyone is crucial. This would arm society with the skills needed to recognize, and hopefully mitigate, algorithmic bias and misinformation. An AI-literate population is better equipped to question the assumptions underlying AI models and demand transparency in their development. In Singapore, for instance, the government recently announced a national initiative to build AI literacy among students and teachers. By 2026, training to employ AI in classrooms will be offered for teachers at all levels, including those in training. 

Yet the path to eliminating AI bias through education is not without challenges. The importance of literacy cannot be overstated, but we must acknowledge the deep inequalities that exist in access to education and technology. Those with limited access to quality education and digital resources are less likely to enter the AI field, resulting in a lack of diverse perspectives in AI development. 

Moreover, the digital divide — which separates those with access to technology from those without — exacerbates the AI diversity dilemma. To this day, a significant portion of the world remains offline, hindering their ability to adapt to the new digital norm. 

~~~
(1)
This record from the Alexandria database describes crystalline BaHg2I2 at its relaxed geometry. The functional is PBE-GGA.

Properties
- E_form (uncorrected) (eV/atom) = -0.766
- SG = I4/mmm

a b c (Å): 6.7343 6.7343 6.7343
angles (deg): 119.94 119.94 90.10
Closest atoms and distances in Å follow each position.
Sites, in units of the cell vectors:
Ba (0.0000, 0.0000, 0.0000)  2 Hg 3.34
Hg (0.3505, 0.3505, 0.0000)  1 Hg 2.84
Hg (0.6495, 0.6495, 0.0000)  1 Hg 2.84
I (0.2500, 0.7500, 0.5000)  4 Hg 3.50
I (0.7500, 0.2500, 0.5000)  4 Hg 3.50

***

(2)
This record from the Alexandria database describes crystalline SmUC2 at its relaxed geometry. The functional is PBE-GGA.

Properties
- energy relative to the elements (eV/atom) = -0.1997
- SG = R-3m

a b c (Å): 6.1698 6.1698 6.1698
angles (deg): 34.09 34.09 34.09
Closest atoms and distances in Å follow each position.
Sites, in units of the cell vectors:
Sm (0.0000, 0.0000, 0.0000)  6 C 2.72
U (0.5000, 0.5000, 0.5000)  6 C 2.39
C (0.2333, 0.2333, 0.2333)  3 U 2.39
C (0.7667, 0.7667, 0.7667)  3 U 2.39

***

(3)
This record from the Alexandria database describes crystalline PmHo2OsN4 at its relaxed geometry. The functional is PBE-GGA.

Properties
- E_form (uncorrected) (eV/atom) = -0.976
- SG = Cmcm

a b c (Å): 6.0748 6.0748 11.6230
angles (deg): 90.00 90.00 147.32
Closest atoms and distances in Å follow each position.
Sites, in units of the cell vectors:
Pm (0.1219, 0.8781, 0.7500)  6 N 2.57-2.69
Pm (0.8781, 0.1219, 0.2500)  6 N 2.57-2.69
Ho (0.3687, 0.6313, 0.5410)  5 N 2.29-2.54
Ho (0.3687, 0.6313, 0.9590)  5 N 2.29-2.54
Ho (0.6313, 0.3687, 0.0410)  5 N 2.29-2.54
Ho (0.6313, 0.3687, 0.4590)  5 N 2.29-2.54
Os (0.1408, 0.8592, 0.2500)  4 N 1.98-2.04
Os (0.8592, 0.1408, 0.7500)  4 N 1.98-2.04
N (0.0000, 0.0000, 0.0000)  4 Ho 2.34
N (0.0000, 0.0000, 0.5000)  4 Ho 2.34
N (0.2667, 0.7333, 0.1279)  1 Os 2.04
N (0.2667, 0.7333, 0.3721)  1 Os 2.04
N (0.4441, 0.5559, 0.7500)  2 Os 1.98
N (0.5559, 0.4441, 0.2500)  2 Os 1.98
N (0.7333, 0.2667, 0.6279)  1 Os 2.04
N (0.7333, 0.2667, 0.8721)  1 Os 2.04

***

For each record above, in turn, the calculated calculated total energy values are -9.5 -35.3 -132.5 eV/cell.

~~~~~

(1)
The following is a PBE calculation of CoHgP after structural relaxation, from Alexandria via LeMat-Bulk.

abc: 4.154 4.154 4.154
angles: 60.00 60.00 60.00
Each line ends with the local moment (μB).
Fractional positions:
1 Hg 0.000 0.000 0.000  0.01
2 Co 0.750 0.750 0.750  0.57
3 P 0.500 0.500 0.500  -0.01

Values from the calculation:
N(E_F) ... 3.26 states/eV per cell
Formation energy ... 0.3740 eV/atom
Calculated density ... 9.5 Mg/m³
Excess energy over the best structure of this formula in the dataset ... 0.473 eV per atom
Symmetry ... No. 216
Uncorrected energy ... -3.90 eV per atom

---

(2)
The following is a PBE calculation of CoHgP4 after structural relaxation, from Alexandria via LeMat-Bulk.

abc: 5.172 5.172 5.172
angles: 60.00 60.00 60.00
Each line ends with the local moment (μB).
~~~

A substantial percentage of the population in developing countries still lack basic digital literacy, let alone advanced AI skills. Individuals with lower digital proficiency are at higher risk of being adversely affected by biased technologies, often lacking the knowledge to identify and contest unfair AI decisions. This perpetuates the cycle of discrimination.

Recognizing that AI and emerging technologies offer both exciting new possibilities and significant risks—including existential threats— to humanity, the international community has begun to take significant steps. Last September the UN Summit of the Future adopted the Global Digital Compact, which aims to address the ethical and inclusive use of digital technologies, including AI. The United Nations University (UNU) is also at the forefront in addressing AI challenges through education. Last year, it launched the UNU Global AI Network and is in the process of establishing a new institute specializing in AI and big data. Moreover, UNU recently created an Action Group on “Futures of Higher Education and Artificial Intelligence.” Through its partners across the globe, the action group is exploring the impact of AI in higher education through the lens of sustainability, leveraging experts from the Global South and pioneering women in AI.

Some universities have also launched comprehensive AI strategies. Through its “AI Across the Curriculum” initiative, the University of Florida is committed to building the first institution of its kind in the US. The initiative will integrate artificial intelligence education across various disciplines by hiring more than 100 AI expert faculty members and offering over 200 AI courses to all students. These courses will be designed to hone students with relevant skills in their fields, boosting their career prospects in the AI-driven future. 

Until AI literacy becomes a fundamental part of global education efforts, the cyclic bias and discrimination embedded in AI data and systems will remain pervasive. Investing in education that prepares all individuals, regardless of their backgrounds, to be active participants in the AI revolution can be transformative. Only then can we hope to navigate towards a future in which AI serves to unite rather than divide, and to empower rather than marginalize. This is far more than fixing biased algorithms; it’s about reshaping human values and knowledge in a future where AI is a force for good.